Consistent Baby Steps
Successful change is about doing small things consistently. It’s making yourself do the thing even though you don’t want to because of your intention. Those intentions should be purposeful and based on your ideal future image. You literally have to train your brain to focus on the results you want to see. If you have an ideal body in mind then you should only focus on that body. Think about it all the time, obsess about it and commit to creating it.
If you want to achieve a goal then you have to give it everything you have until you reach that goal. If you want a better body you know what to do, exercise every day and give up the shit that’s making you fat. That means you’re not going to eat sugar or chips or whatever your food vice is until you get to your goal.
What happens when you reach your goal though? You give yourself a new goal. Every time I’ve successfully lost weight I’ve gained it back because I didn’t change my identity. I want to have the identity of a fit girl who’s kicking ass in her 40’s and beyond and I don’t want to give up on that image. If I decide to have that identity then I need to think about the things that version of myself would have to do. Fit people love themselves and fat people don’t so I want to be a fit person and that means I’m going to exercise every day and I’m not going to eat sugar and fat as much as I have been. I’m going to slowly start releasing it out of my diet until I’m ready to make a permanent change. I think if I can consistently start to obsess every day about who I am as a fit person, that means visualizing and feeling like I’m that person now then everything else will fall into place. Right now I’m 50 pounds overweight, well, 80 pounds if I’m following the guidelines for my height but I’ve felt the happiest about myself when I weigh 160 pounds so thats where I want to be. Maybe when I get there I can move toward a new goal to make myself look even better. That would be incredible and I only want to think about that.
What I know right now is that I’m committed to making small changes every day to move toward that goal. I’ve noticed that as long as I’m making progress toward that goal then I feel happier. Right now, for example, my pants are digging into my gut and I feel really uncomfortable. I feel so bad that I had to move to the table instead of sitting on the couch because it wasn’t working for typing. Even sitting in this chair with good posture is uncomfortable but I’m kind of happy to be in this discomfort because I know it’s going to change. I’m committed and I know I’m going to achieve it because it’s all I’m going to think about moving forward.
I definitely have fear, which I always do when I start moving toward a healthier lifestyle. Fear that I’m going to screw it up because I always have in the past. Key words…the past. I have to let the past go because it’s not going to get me anywhere. I have to train my thoughts to only think about my goal and to identify with the person I want to be. That means I have to be more self aware of my thoughts so I can ensure I’m doing the things that only a fit person would do. I have to be aware constantly. I’m committed to this. I know I’m not going to be perfect every day so I’m going to give myself that grace. I’m not going to be hard on myself and I’m not going tp think about this as giving up something but gaining something. I’m gaining a new identity and letting go of the beliefs that keep me stuck in this fat body.
I’ve been known to blame my weight on my addictions. “If I stopped doing A or B then I wouldn’t be overweight.” What I know now is that my mind and my habitual thoughts have been the problem this whole time. It’s so maddening to realize that all I have to change is my mindset with regard to who I am for positive change to take place. This is true self love. I think. I’m definitely not there yet because I feel uncomfortable in my own skin but I’m getting better and better every day and that’s all that counts.
Clearly, I’m in no place to give this advice considering that fact that I’m 80 pounds overweight right now but I’m not going to be that way for long because I’m committed. Well, I’m probably going to remain in this fat body for a while yet because I can’t be delusional. It didn’t take me a month to put this weight on, I’ve been gaining and losing my whole life. I think I’m going to start seeing significant change in 6 months. I just have to put in the work every day and that work isn’t going to have anything to do with restriction but everything to do with identity change and loving myself. If I truly loved myself I wouldn’t keep hurting myself with foods that are going to hurt me later.
I’m going to compliment myself for every hard thing I accomplish today. I’m going to practice discipline with eating and drinking and I’m going to practice discipline with my environment. I’m going to commit to doing a chore every day I come home from work to ensure I’m not tempted to make bad food decisions. On top of that I’m going to remind myself that I love myself and that means doing the hard things and for me, thats making sure I’m eating fruit and veggies each and every day and making sure I”m exercising in some way.
(Unrelated to this text: materials data)
........
[1]
Entry from the Alexandria database: LaSmCF after structural relaxation (GGA-PBE).

D(E_F)	0.477	states/eV/atom
M_tot	0.0	Bohr magnetons per cell
crystal system	trigonal
ΔE_f (raw)	-1.444	eV per atom

Cell: 3.6432 3.6428 6.9711 Å, 90.00 105.15 120.00°
Last column: nearest neighbours and their distance in Å.
Element x y z (fractional)
La  0.4980  0.1470  0.6601  3 C 2.57
Sm  0.1155  0.9557  0.0865  3 C 2.50, 3 F 2.70
C  0.3131  0.5545  0.8828  3 Sm 2.50, 3 La 2.57
F  0.9513  0.3736  0.3403  3 Sm 2.70, 3 La 2.99

---

[2]
Entry from the Alexandria database: LaTa2CF after structural relaxation (GGA-PBE).

D(E_F)	1.586	states/eV/atom
M_tot	1.5	Bohr magnetons per cell
crystal system	tetragonal
ΔE_f (raw)	2.317	eV per atom

Cell: 5.1709 4.3043 5.1709 Å, 90.00 90.00 90.00°
Last column: nearest neighbours and their distance in Å.
Element x y z (fractional)
C  0.5000  0.5000  0.5000  8 Ta 3.36, 4 F 3.66
Ta  0.0000  0.0000  0.5000  2 La 2.59
Ta  0.5000  0.0000  0.0000  2 La 2.59
F  0.0000  0.5000  0.0000  2 La 2.15
La  0.0000  0.0000  0.0000  2 F 2.15

---

[3]
Entry from the Alexandria database: LaTbCF after structural relaxation (GGA-PBE).

D(E_F)	0.493	states/eV/atom
M_tot	0.0	Bohr magnetons per cell
crystal system	trigonal
ΔE_f (raw)	-1.471	eV per atom

Cell: 3.5963 3.5960 6.9378 Å, 90.00 105.02 120.00°
Last column: nearest neighbours and their distance in Å.
Element x y z (fractional)
La  0.4998  0.1478  0.6629  3 C 2.57
C  0.3192  0.5575  0.8921  3 Tb 2.44, 3 La 2.57
Tb  0.1149  0.9554  0.0856  3 C 2.44, 3 F 2.63
F  0.9440  0.3701  0.3290  3 Tb 2.63

---

[4]
Entry from the Alexandria database: LaTi2CF after structural relaxation (GGA-PBE).

D(E_F)	1.217	states/eV/atom
M_tot	0.0	Bohr magnetons per cell
crystal system	tetragonal
ΔE_f (raw)	0.020	eV per atom

Cell: 4.0095 5.3939 4.0095 Å, 90.00 90.00 90.00°
Last column: nearest neighbours and their distance in Å.
Element x y z (fractional)
La  0.5000  0.5000  0.5000  4 C 2.84
C  0.0000  0.5000  0.0000  2 F 2.70, 4 La 2.84
Ti  0.5000  0.0000  0.0000  2 F 2.00
Ti  0.0000  0.0000  0.5000  2 F 2.00
F  0.0000  0.0000  0.0000  4 Ti 2.00

---

[5]
Entry from the Alexandria database: LiC2F8 after structural relaxation (GGA-PBE).

D(E_F)	0.212	states/eV/atom
M_tot	0.5	Bohr magnetons per cell
crystal system	trigonal
ΔE_f (raw)	-1.460	eV per atom

Cell: 5.3743 5.3743 6.1496 Å, 90.00 90.00 120.00°
Last column: nearest neighbours and their distance in Å.
Element x y z (fractional)
C  0.6667  0.3333  0.2291  4 F 1.33-1.44
C  0.3333  0.6667  0.7709  4 F 1.33-1.44
F  0.1841  0.8159  0.7063  1 C 1.44
F  0.6667  0.3333  0.0130  1 C 1.33
F  0.3333  0.6667  0.9870  1 C 1.33
F  0.6317  0.8159  0.7063  1 C 1.44
F  0.3683  0.1841  0.2937  1 C 1.44
F  0.1841  0.3683  0.7063  1 C 1.44
F  0.8159  0.6317  0.2937  1 C 1.44
F  0.8159  0.1841  0.2937  1 C 1.44
Li  0.0000  0.0000  0.5000  6 F 2.13

---

[6]
Entry from the Alexandria database: LiCF2 after structural relaxation (GGA-PBE).

D(E_F)	0.486	states/eV/atom
........
(Back to the text)
To be honest, I still feel like an imposter and I hate telling myself that i love myself because it feels fake and thats the problem right now. I don’t fully love myself and thats because of the way I feel about myself and that’s because of this fat unhealthy body. It’s just temporary though and I have to remind myself that loving myself means that I’m going to continue doing the hard things to reach optimal health, thats love. I don’t believe it yet but I’m going to trust this process.
-Dawn Rochelle ♡